Activity >
It remains to reproduce everything underneath character by character.

Data >
=====
NaCdH3C3O6: theoretical X-ray powder pattern (Cu Kα X-rays), based on DFT lattice parameters and positions (PBE).
Neutral-atom scattering factors, no anomalous dispersion.

Structure:
Lattice parameters (Å, degrees): 6.348 7.168 14.117 90.00 90.00 90.00
Element x y z (fractional)
1 Na 0.250 0.000 0.223
2 Na 0.250 0.000 0.723
3 Na 0.750 0.000 0.277
4 Na 0.750 0.000 0.777
5 Cd 0.250 0.500 0.072
6 Cd 0.250 0.500 0.572
7 Cd 0.750 0.500 0.428
8 Cd 0.750 0.500 0.928
9 H 0.000 0.448 0.250
10 H 0.000 0.552 0.750
11 H 0.198 0.164 0.931
12 H 0.198 0.836 0.431
13 H 0.302 0.164 0.431
14 H 0.302 0.836 0.931
15 H 0.500 0.448 0.750
16 H 0.500 0.552 0.250
17 H 0.698 0.164 0.069
18 H 0.698 0.836 0.569
19 H 0.802 0.164 0.569
20 H 0.802 0.836 0.069
21 C 0.000 0.397 0.750
22 C 0.000 0.603 0.250
23 C 0.137 0.200 0.413
24 C 0.137 0.800 0.913
25 C 0.363 0.200 0.913
26 C 0.363 0.800 0.413
27 C 0.500 0.397 0.250
28 C 0.500 0.603 0.750
29 C 0.637 0.200 0.587
30 C 0.637 0.800 0.087
31 C 0.863 0.200 0.087
32 C 0.863 0.800 0.587
33 O 0.041 0.108 0.352
34 O 0.041 0.892 0.852
35 O 0.060 0.340 0.458
36 O 0.060 0.660 0.958
37 O 0.109 0.313 0.688
38 O 0.109 0.687 0.188
39 O 0.391 0.313 0.188
40 O 0.391 0.687 0.688
41 O 0.440 0.340 0.958
42 O 0.440 0.660 0.458
43 O 0.459 0.108 0.852
44 O 0.459 0.892 0.352
45 O 0.541 0.108 0.648
46 O 0.541 0.892 0.148
47 O 0.560 0.340 0.542
48 O 0.560 0.660 0.042
49 O 0.609 0.313 0.312
50 O 0.609 0.687 0.812
51 O 0.891 0.313 0.812
52 O 0.891 0.687 0.312
53 O 0.940 0.340 0.042
54 O 0.940 0.660 0.542
55 O 0.959 0.108 0.148
56 O 0.959 0.892 0.648

Largest 12 diffraction maxima, by angle, 2θ from 5° to 70°:
hkl  2theta  I_rel
0 1 0  12.35  968
0 1 2  17.63  792
1 0 2  18.80  499
1 1 2  22.55  1000
2 1 0  30.83  242
1 2 2  31.34  472
1 1 4  31.58  587
2 1 2  33.38  288
2 2 0  37.86  266
1 2 4  38.51  418
1 3 4  48.16  398
3 1 4  51.98  253


# 1
Computed PXRD pattern of MnMoW2 for Cu Kα, 1.54184 Å, from a PBE-relaxed structure.

Atomic structure:
```
MnMoW2
1.0
3.153 0.000 0.000
0.000 4.414 0.000
0.000 0.000 8.674
Mn Mo W
2 2 4
Direct
0.000 0.000 0.000 Mn
0.500 0.500 0.500 Mn
0.000 0.500 0.751 Mo
0.500 0.000 0.251 Mo
0.000 0.000 0.500 W
0.000 0.500 0.251 W
0.500 0.000 0.751 W
0.500 0.500 0.000 W
```

Principal peaks in the range 10° ≤ 2θ ≤ 90°, low angle first:
| 2θ (°) | I (rel.) |
| --- | --- |
| 22.6 | 15 |
| 30.2 | 8 |
| 37.2 | 4 |
| 40.9 | 100 |
| 41.6 | 19 |
| 51.6 | 4 |
| 58.5 | 7 |
| 59.8 | 13 |
| 73.9 | 7 |
| 74.4 | 20 |
| 75.5 | 13 |
| 88.6 | 11 |

# 2
Computed PXRD pattern of Mg2P3Pd9 for Cu Kα, 1.54184 Å, from a PBE-relaxed structure.

Atomic structure:
```
Mg2P3Pd9
1.0
6.382 -3.746 0.000
6.382 3.746 0.000
-4.028 0.000 8.898
Mg P Pd
4 6 18
Direct
0.065 0.249 0.251 Mg
0.249 0.065 0.751 Mg
0.751 0.935 0.249 Mg
0.935 0.751 0.749 Mg
0.000 0.500 0.000 P
0.168 0.683 0.518 P
0.317 0.832 0.982 P
0.500 0.000 0.500 P
0.683 0.168 0.018 P
0.832 0.317 0.482 P
0.020 0.861 0.072 Pd
0.139 0.980 0.428 Pd
0.155 0.361 0.593 Pd
0.159 0.579 0.255 Pd
0.312 0.459 0.955 Pd
0.361 0.155 0.093 Pd
0.388 0.612 0.750 Pd
0.421 0.841 0.245 Pd
0.459 0.312 0.455 Pd
0.541 0.688 0.545 Pd
0.579 0.159 0.755 Pd
0.612 0.388 0.250 Pd
0.639 0.845 0.907 Pd
0.688 0.541 0.045 Pd
0.841 0.421 0.745 Pd
0.845 0.639 0.407 Pd
0.861 0.020 0.572 Pd
0.980 0.139 0.928 Pd
```

Principal peaks in the range 10° ≤ 2θ ≤ 90°, low angle first:
| 2θ (°) | I (rel.) |
| --- | --- |
| 25.8 | 35 |
| 31.1 | 43 |
| 31.2 | 27 |
| 31.8 | 28 |
| 37.1 | 38 |
| 37.7 | 40 |
| 38.5 | 81 |
| 38.7 | 65 |
| 39.4 | 51 |
| 39.6 | 27 |
| 42.0 | 100 |
| 42.5 | 56 |

# 3
Computed PXRD pattern of Na3Hg4Pb2 for Cu Kα, 1.54184 Å, from a PBE-relaxed structure.

Atomic structure:
```
Na3Hg4Pb2
1.0
6.109 -2.553 0.000
6.109 2.553 0.000
-4.637 0.000 8.141
Na Hg Pb
3 4 2
Direct
0.000 0.000 0.000 Na
0.358 0.358 0.312 Na
0.642 0.642 0.688 Na
0.035 0.035 0.369 Hg
0.251 0.251 0.920 Hg
0.749 0.749 0.080 Hg
0.965 0.965 0.631 Hg
0.334 0.334 0.655 Pb
0.666 0.666 0.345 Pb
```
=====

Response >
NaCdH3C3O6: theoretical X-ray powder pattern (Cu Kα X-rays), based on DFT lattice parameters and positions (PBE).
Neutral-atom scattering factors, no anomalous dispersion.

Structure:
Lattice parameters (Å, degrees): 6.348 7.168 14.117 90.00 90.00 90.00
Element x y z (fractional)
1 Na 0.250 0.000 0.223
2 Na 0.250 0.000 0.723
3 Na 0.750 0.000 0.277
4 Na 0.750 0.000 0.777
5 Cd 0.250 0.500 0.072
6 Cd 0.250 0.500 0.572
7 Cd 0.750 0.500 0.428
8 Cd 0.750 0.500 0.928
9 H 0.000 0.448 0.250
10 H 0.000 0.552 0.750
11 H 0.198 0.164 0.931
12 H 0.198 0.836 0.431
13 H 0.302 0.164 0.431
14 H 0.302 0.836 0.931
15 H 0.500 0.448 0.750
16 H 0.500 0.552 0.250
17 H 0.698 0.164 0.069
18 H 0.698 0.836 0.569
19 H 0.802 0.164 0.569
20 H 0.802 0.836 0.069
21 C 0.000 0.397 0.750
22 C 0.000 0.603 0.250
23 C 0.137 0.200 0.413
24 C 0.137 0.800 0.913
25 C 0.363 0.200 0.913
26 C 0.363 0.800 0.413
27 C 0.500 0.397 0.250
28 C 0.500 0.603 0.750
29 C 0.637 0.200 0.587
30 C 0.637 0.800 0.087
31 C 0.863 0.200 0.087
32 C 0.863 0.800 0.587
33 O 0.041 0.108 0.352
34 O 0.041 0.892 0.852
35 O 0.060 0.340 0.458
36 O 0.060 0.660 0.958
37 O 0.109 0.313 0.688
38 O 0.109 0.687 0.188
39 O 0.391 0.313 0.188
40 O 0.391 0.687 0.688
41 O 0.440 0.340 0.958
42 O 0.440 0.660 0.458
43 O 0.459 0.108 0.852
44 O 0.459 0.892 0.352
45 O 0.541 0.108 0.648
46 O 0.541 0.892 0.148
47 O 0.560 0.340 0.542
48 O 0.560 0.660 0.042
49 O 0.609 0.313 0.312
50 O 0.609 0.687 0.812
51 O 0.891 0.313 0.812
52 O 0.891 0.687 0.312
53 O 0.940 0.340 0.042
54 O 0.940 0.660 0.542
55 O 0.959 0.108 0.148
56 O 0.959 0.892 0.648

Largest 12 diffraction maxima, by angle, 2θ from 5° to 70°:
hkl  2theta  I_rel
0 1 0  12.35  968
0 1 2  17.63  792
1 0 2  18.80  499
1 1 2  22.55  1000
2 1 0  30.83  242
1 2 2  31.34  472
1 1 4  31.58  587
2 1 2  33.38  288
2 2 0  37.86  266
1 2 4  38.51  418
1 3 4  48.16  398
3 1 4  51.98  253


# 1
Computed PXRD pattern of MnMoW2 for Cu Kα, 1.54184 Å, from a PBE-relaxed structure.

Atomic structure:
```
MnMoW2
1.0
3.153 0.000 0.000
0.000 4.414 0.000
0.000 0.000 8.674
Mn Mo W
2 2 4
Direct
0.000 0.000 0.000 Mn
0.500 0.500 0.500 Mn
0.000 0.500 0.751 Mo
0.500 0.000 0.251 Mo
0.000 0.000 0.500 W
0.000 0.500 0.251 W
0.500 0.000 0.751 W
0.500 0.500 0.000 W
```

Principal peaks in the range 10° ≤ 2θ ≤ 90°, low angle first:
| 2θ (°) | I (rel.) |
| --- | --- |
| 22.6 | 15 |
| 30.2 | 8 |
| 37.2 | 4 |
| 40.9 | 100 |
| 41.6 | 19 |
| 51.6 | 4 |
| 58.5 | 7 |
| 59.8 | 13 |
| 73.9 | 7 |
| 74.4 | 20 |
| 75.5 | 13 |
| 88.6 | 11 |

# 2
Computed PXRD pattern of Mg2P3Pd9 for Cu Kα, 1.54184 Å, from a PBE-relaxed structure.

Atomic structure:
```
Mg2P3Pd9
1.0
6.382 -3.746 0.000
6.382 3.746 0.000
-4.028 0.000 8.898
Mg P Pd
4 6 18
Direct
0.065 0.249 0.251 Mg
0.249 0.065 0.751 Mg
0.751 0.935 0.249 Mg
0.935 0.751 0.749 Mg
0.000 0.500 0.000 P
0.168 0.683 0.518 P
0.317 0.832 0.982 P
0.500 0.000 0.500 P
0.683 0.168 0.018 P
0.832 0.317 0.482 P
0.020 0.861 0.072 Pd
0.139 0.980 0.428 Pd
0.155 0.361 0.593 Pd
0.159 0.579 0.255 Pd
0.312 0.459 0.955 Pd
0.361 0.155 0.093 Pd
0.388 0.612 0.750 Pd
0.421 0.841 0.245 Pd
0.459 0.312 0.455 Pd
0.541 0.688 0.545 Pd
0.579 0.159 0.755 Pd
0.612 0.388 0.250 Pd
0.639 0.845 0.907 Pd
0.688 0.541 0.045 Pd
0.841 0.421 0.745 Pd
0.845 0.639 0.407 Pd
0.861 0.020 0.572 Pd
0.980 0.139 0.928 Pd
```

Principal peaks in the range 10° ≤ 2θ ≤ 90°, low angle first:
| 2θ (°) | I (rel.) |
| --- | --- |
| 25.8 | 35 |
| 31.1 | 43 |
| 31.2 | 27 |
| 31.8 | 28 |
| 37.1 | 38 |
| 37.7 | 40 |
| 38.5 | 81 |
| 38.7 | 65 |
| 39.4 | 51 |
| 39.6 | 27 |
| 42.0 | 100 |
| 42.5 | 56 |

# 3
Computed PXRD pattern of Na3Hg4Pb2 for Cu Kα, 1.54184 Å, from a PBE-relaxed structure.

Atomic structure:
```
Na3Hg4Pb2
1.0
6.109 -2.553 0.000
6.109 2.553 0.000
-4.637 0.000 8.141
Na Hg Pb
3 4 2
Direct
0.000 0.000 0.000 Na
0.358 0.358 0.312 Na
0.642 0.642 0.688 Na
0.035 0.035 0.369 Hg
0.251 0.251 0.920 Hg
0.749 0.749 0.080 Hg
0.965 0.965 0.631 Hg
0.334 0.334 0.655 Pb
0.666 0.666 0.345 Pb
```